**Work order**
Next, retype the whole of the material underneath verbatim.

**Input**
____________
1.
DFT (ωB97M-V with the def2-TZVPD basis set) results for a 2-piece molecular cluster, C28H23BF9NO2 overall in a non-equilibrium geometry.

The geometry in XYZ format:
```
64
Properties=species:S:1:pos:R:3:forces:R:3
F 6.969 -1.651 2.590 -1.1 -0.7 -0.3
H 0.338 1.172 -2.719 0.0 -0.2 0.1
C 5.876 -2.440 2.378 1.1 -0.7 1.1
C 0.842 2.196 1.704 -1.0 -0.8 0.6
H 0.341 1.153 5.426 0.1 0.1 -0.3
C -0.733 -0.479 -3.581 -0.1 -0.1 -0.1
C 4.853 -1.799 1.486 0.2 0.4 -0.3
C -5.003 0.780 -1.531 0.2 0.2 -0.4
C 4.139 0.017 0.106 -0.4 0.4 -0.4
F -2.980 -2.869 -3.461 1.0 0.4 -0.8
H -5.151 0.778 1.891 -0.2 0.2 -0.2
C 2.955 -0.680 -0.254 0.4 -0.3 1.0
H -3.691 -1.455 -0.721 -0.2 0.0 0.2
H -6.001 0.344 -1.665 0.2 0.1 0.1
C 0.648 2.493 0.311 0.5 0.0 -1.2
H 6.014 -0.009 1.140 -0.2 -0.1 0.1
C 0.047 -2.697 -2.955 0.2 0.1 0.1
C -4.506 0.453 -0.136 0.0 0.1 -0.2
C 2.090 -0.072 -1.202 0.0 0.1 0.2
H 1.793 -2.780 -1.728 -0.2 0.2 -0.2
C -0.850 -1.867 -3.624 0.1 0.2 0.1
C 0.241 0.086 -2.785 0.5 0.3 0.3
C 5.092 -0.541 0.934 0.0 -0.4 0.1
C 1.137 -0.716 -2.025 -0.8 -0.8 -0.9
B 1.742 3.406 -0.563 -2.3 -1.1 1.6
C -5.463 1.037 0.876 -0.2 0.3 0.5
F 3.005 2.807 -0.403 0.7 0.1 -0.4
H 3.512 -3.472 1.670 -0.1 0.3 0.0
F 5.349 -2.736 3.609 0.4 0.3 -1.2
C 1.056 -2.133 -2.198 0.0 0.4 0.3
H 2.438 2.271 4.704 -0.2 0.0 -0.3
O -3.155 1.081 -0.028 -0.6 -0.5 0.5
C -0.590 2.020 -0.049 0.9 0.3 0.4
C 0.474 1.427 4.379 0.0 0.1 -0.7
F 6.334 -3.623 1.854 -0.5 1.1 0.4
C -1.990 -2.509 -4.349 -1.4 -0.7 -0.7
C 2.716 -1.929 0.398 0.0 0.0 -0.4
C 1.661 2.068 3.962 -0.1 -0.1 0.0
C -0.541 1.141 3.448 0.3 -0.2 1.1
F -2.572 -1.695 -5.275 0.6 -0.6 0.8
O -2.984 0.467 2.182 0.6 0.5 -1.3
C 1.857 2.449 2.630 -0.1 -0.1 0.1
H -5.379 -1.504 -0.138 0.3 0.1 0.0
H -4.347 0.358 -2.303 -0.1 0.1 0.1
F 1.289 3.367 -1.885 0.5 0.2 -0.8
H 4.290 1.015 -0.295 0.0 -0.1 0.0
H -1.102 2.059 -0.995 0.0 0.1 0.1
H 2.762 2.946 2.283 -0.2 0.0 0.3
N -1.217 1.444 1.056 -0.6 -0.5 0.7
F -1.615 -3.653 -4.996 -0.3 1.0 0.6
H -1.471 0.645 3.710 0.4 0.2 0.2
H -4.061 -1.292 1.034 0.0 -0.1 -0.2
H -5.088 1.865 -1.678 0.1 -0.2 0.0
H -1.397 0.153 -4.168 0.1 -0.2 0.2
H -6.468 0.622 0.710 0.3 0.1 -0.1
C 3.670 -2.489 1.228 -0.3 0.0 -0.1
H 2.198 0.997 -1.346 0.2 0.1 0.0
F 1.657 4.642 0.055 0.7 0.6 -0.5
C -0.325 1.528 2.149 -0.1 0.4 -0.4
C -4.393 -1.047 0.021 0.2 -0.4 0.1
H 1.769 -2.448 0.246 0.3 0.2 0.2
C -2.519 0.946 1.157 0.2 0.0 0.3
H -0.049 -3.777 -3.032 0.1 0.2 0.0
H -5.513 2.129 0.763 0.0 -0.2 0.1
```
Forces are in eV/Å.

Summary:
Net charge: 0
Largest force on an atom, eV/Å: 3.00
Orbital gap, hartree: 0.1432

Atom charges from the natural (NBO) analysis, given in e for atoms 1 to 4: -0.31 0.27 0.97 -0.11


2.
DFT (ωB97M-V with the def2-TZVPD basis set) results for one molecule with the formula C6H10O.

The geometry in XYZ format:
```
17
Properties=species:S:1:pos:R:3:forces:R:3
H -1.997 -0.655 -1.937 0.0 0.0 0.2
H -2.455 0.541 0.905 0.1 0.0 -0.2
C 0.290 0.393 0.505 -0.1 0.0 0.0
C 2.543 -0.678 0.979 -0.1 0.0 0.3
H -2.872 1.358 -0.674 0.1 -0.1 0.1
H 2.078 0.463 -0.750 0.0 -0.1 0.1
C 1.558 -0.228 -0.070 0.0 0.0 0.0
H -0.478 1.258 -1.373 -0.1 -0.1 0.1
O 2.334 -0.647 2.169 0.1 0.0 -0.5
H 3.508 -1.067 0.588 -0.1 0.0 0.1
C -0.773 0.609 -0.549 0.1 0.1 0.0
H 0.539 1.341 0.999 0.0 -0.1 -0.1
H -1.578 -1.457 -0.350 0.0 0.2 -0.1
H 1.315 -1.109 -0.685 0.1 0.1 0.1
C -2.218 0.668 -0.149 -0.1 0.1 0.1
C -1.695 -0.525 -0.901 0.0 -0.2 -0.1
H -0.099 -0.264 1.293 0.0 0.1 -0.1
```
Forces are in eV/Å.

Summary:
Net charge: 0
Largest force on an atom, eV/Å: 0.50
Energy above the lowest of the compared OMol25 structures with the same formula, charge and spin, kJ/mol: 65.7
Orbital gap, hartree: 0.3985

Atom charges from the natural (NBO) analysis, given in e for atoms 1 to 4: 0.22 0.21 -0.40 0.45
____________

**Here it is**
1.
DFT (ωB97M-V with the def2-TZVPD basis set) results for a 2-piece molecular cluster, C28H23BF9NO2 overall in a non-equilibrium geometry.

The geometry in XYZ format:
```
64
Properties=species:S:1:pos:R:3:forces:R:3
F 6.969 -1.651 2.590 -1.1 -0.7 -0.3
H 0.338 1.172 -2.719 0.0 -0.2 0.1
C 5.876 -2.440 2.378 1.1 -0.7 1.1
C 0.842 2.196 1.704 -1.0 -0.8 0.6
H 0.341 1.153 5.426 0.1 0.1 -0.3
C -0.733 -0.479 -3.581 -0.1 -0.1 -0.1
C 4.853 -1.799 1.486 0.2 0.4 -0.3
C -5.003 0.780 -1.531 0.2 0.2 -0.4
C 4.139 0.017 0.106 -0.4 0.4 -0.4
F -2.980 -2.869 -3.461 1.0 0.4 -0.8
H -5.151 0.778 1.891 -0.2 0.2 -0.2
C 2.955 -0.680 -0.254 0.4 -0.3 1.0
H -3.691 -1.455 -0.721 -0.2 0.0 0.2
H -6.001 0.344 -1.665 0.2 0.1 0.1
C 0.648 2.493 0.311 0.5 0.0 -1.2
H 6.014 -0.009 1.140 -0.2 -0.1 0.1
C 0.047 -2.697 -2.955 0.2 0.1 0.1
C -4.506 0.453 -0.136 0.0 0.1 -0.2
C 2.090 -0.072 -1.202 0.0 0.1 0.2
H 1.793 -2.780 -1.728 -0.2 0.2 -0.2
C -0.850 -1.867 -3.624 0.1 0.2 0.1
C 0.241 0.086 -2.785 0.5 0.3 0.3
C 5.092 -0.541 0.934 0.0 -0.4 0.1
C 1.137 -0.716 -2.025 -0.8 -0.8 -0.9
B 1.742 3.406 -0.563 -2.3 -1.1 1.6
C -5.463 1.037 0.876 -0.2 0.3 0.5
F 3.005 2.807 -0.403 0.7 0.1 -0.4
H 3.512 -3.472 1.670 -0.1 0.3 0.0
F 5.349 -2.736 3.609 0.4 0.3 -1.2
C 1.056 -2.133 -2.198 0.0 0.4 0.3
H 2.438 2.271 4.704 -0.2 0.0 -0.3
O -3.155 1.081 -0.028 -0.6 -0.5 0.5
C -0.590 2.020 -0.049 0.9 0.3 0.4
C 0.474 1.427 4.379 0.0 0.1 -0.7
F 6.334 -3.623 1.854 -0.5 1.1 0.4
C -1.990 -2.509 -4.349 -1.4 -0.7 -0.7
C 2.716 -1.929 0.398 0.0 0.0 -0.4
C 1.661 2.068 3.962 -0.1 -0.1 0.0
C -0.541 1.141 3.448 0.3 -0.2 1.1
F -2.572 -1.695 -5.275 0.6 -0.6 0.8
O -2.984 0.467 2.182 0.6 0.5 -1.3
C 1.857 2.449 2.630 -0.1 -0.1 0.1
H -5.379 -1.504 -0.138 0.3 0.1 0.0
H -4.347 0.358 -2.303 -0.1 0.1 0.1
F 1.289 3.367 -1.885 0.5 0.2 -0.8
H 4.290 1.015 -0.295 0.0 -0.1 0.0
H -1.102 2.059 -0.995 0.0 0.1 0.1
H 2.762 2.946 2.283 -0.2 0.0 0.3
N -1.217 1.444 1.056 -0.6 -0.5 0.7
F -1.615 -3.653 -4.996 -0.3 1.0 0.6
H -1.471 0.645 3.710 0.4 0.2 0.2
H -4.061 -1.292 1.034 0.0 -0.1 -0.2
H -5.088 1.865 -1.678 0.1 -0.2 0.0
H -1.397 0.153 -4.168 0.1 -0.2 0.2
H -6.468 0.622 0.710 0.3 0.1 -0.1
C 3.670 -2.489 1.228 -0.3 0.0 -0.1
H 2.198 0.997 -1.346 0.2 0.1 0.0
F 1.657 4.642 0.055 0.7 0.6 -0.5
C -0.325 1.528 2.149 -0.1 0.4 -0.4
C -4.393 -1.047 0.021 0.2 -0.4 0.1
H 1.769 -2.448 0.246 0.3 0.2 0.2
C -2.519 0.946 1.157 0.2 0.0 0.3
H -0.049 -3.777 -3.032 0.1 0.2 0.0
H -5.513 2.129 0.763 0.0 -0.2 0.1
```
Forces are in eV/Å.

Summary:
Net charge: 0
Largest force on an atom, eV/Å: 3.00
Orbital gap, hartree: 0.1432

Atom charges from the natural (NBO) analysis, given in e for atoms 1 to 4: -0.31 0.27 0.97 -0.11


2.
DFT (ωB97M-V with the def2-TZVPD basis set) results for one molecule with the formula C6H10O.

The geometry in XYZ format:
```
17
Properties=species:S:1:pos:R:3:forces:R:3
H -1.997 -0.655 -1.937 0.0 0.0 0.2
H -2.455 0.541 0.905 0.1 0.0 -0.2
C 0.290 0.393 0.505 -0.1 0.0 0.0
C 2.543 -0.678 0.979 -0.1 0.0 0.3
H -2.872 1.358 -0.674 0.1 -0.1 0.1
H 2.078 0.463 -0.750 0.0 -0.1 0.1
C 1.558 -0.228 -0.070 0.0 0.0 0.0
H -0.478 1.258 -1.373 -0.1 -0.1 0.1
O 2.334 -0.647 2.169 0.1 0.0 -0.5
H 3.508 -1.067 0.588 -0.1 0.0 0.1
C -0.773 0.609 -0.549 0.1 0.1 0.0
H 0.539 1.341 0.999 0.0 -0.1 -0.1
H -1.578 -1.457 -0.350 0.0 0.2 -0.1
H 1.315 -1.109 -0.685 0.1 0.1 0.1
C -2.218 0.668 -0.149 -0.1 0.1 0.1
C -1.695 -0.525 -0.901 0.0 -0.2 -0.1
H -0.099 -0.264 1.293 0.0 0.1 -0.1
```
Forces are in eV/Å.

Summary:
Net charge: 0
Largest force on an atom, eV/Å: 0.50
Energy above the lowest of the compared OMol25 structures with the same formula, charge and spin, kJ/mol: 65.7
Orbital gap, hartree: 0.3985

Atom charges from the natural (NBO) analysis, given in e for atoms 1 to 4: 0.22 0.21 -0.40 0.45